### Assignment
Start at the top of the material further below and transcribe each line, ending with the one that has "-4.051, 0.403],".

### Entries
~~~
Entry 1:
{
  "formula": "C38H50AlN5O",
  "method": "wB97M-V/def2-TZVPD",
  "elements": ["Al", "C", "C", "C", "C", "C", "C", "C", "C", "C", "C", "N", "C", "C", "C", "C", "C", "N", "H", "H", "H", "H", "H", "H", "H", "H", "H", "H", "H", "H", "H", "H", "H", "H", "H", "C", "C", "C", "C", "C", "C", "C", "C", "C", "C", "H", "H", "H", "H", "H", "H", "H", "H", "H", "H", "H", "H", "C", "N", "C", "C", "N", "N", "C", "C", "H", "H", "H", "H", "H", "H", "H", "H", "H", "H", "H", "H", "H", "C", "C", "O", "C", "C", "C", "C", "C", "C", "H", "H", "H", "H", "H", "H", "H", "H"],
  "xyz": [[0.613, -0.879, -0.215], [3.536, -0.835, -3.993], [2.916, 0.440, -3.442], [3.658, 0.870, -2.191], [4.475, 1.984, -2.224], [5.294, 2.304, -1.136], [5.209, 1.533, 0.033], [4.376, 0.434, 0.137], [4.455, -0.410, 1.406], [5.891, -0.873, 1.685], [3.559, 0.113, -0.998], [2.589, -0.897, -0.867], [3.086, -2.143, -0.742], [2.262, -3.128, -0.201], [2.491, -4.525, 0.086], [1.305, -5.022, 0.644], [0.404, -3.931, 0.707], [0.948, -2.737, 0.243], [3.231, -1.036, -5.036], [3.284, -1.708, -3.374], [4.627, -0.777, -3.987], [1.815, 0.290, -3.368], [3.045, 1.247, -4.203], [4.427, 2.588, -3.136], [6.051, 3.108, -1.174], [5.816, 1.874, 0.899], [3.710, -1.210, 1.406], [4.200, 0.259, 2.285], [6.329, -1.306, 0.790], [5.887, -1.595, 2.523], [6.517, -0.054, 1.994], [4.089, -2.422, -1.059], [3.387, -5.073, -0.103], [1.053, -6.024, 0.975], [-0.612, -4.011, 1.079], [-1.650, -2.989, -1.710], [-2.548, -2.028, -0.877], [-3.486, -1.392, -1.958], [-1.639, -0.909, -0.302], [-3.447, -2.865, 0.105], [-4.627, -3.425, -0.403], [-5.598, -4.051, 0.403], [-5.347, -4.151, 1.747], [-4.137, -3.707, 2.270], [-3.166, -3.106, 1.476], [-1.072, -2.427, -2.452], [-2.329, -3.683, -2.295], [-1.011, -3.590, -1.091], [-2.981, -0.637, -2.574], [-4.413, -0.931, -1.570], [-3.758, -2.197, -2.668], [-1.688, -0.119, -1.059], [-4.776, -3.320, -1.484], [-6.514, -4.449, -0.056], [-6.110, -4.523, 2.425], [-3.929, -3.903, 3.325], [-2.223, -2.795, 1.911], [-0.119, 4.458, 0.774], [0.535, 3.354, 0.039], [0.556, 3.605, -1.390], [0.797, 2.127, 0.624], [0.690, 1.012, -0.134], [1.209, 2.104, 1.915], [1.015, 0.899, 2.708], [2.001, 3.234, 2.541], [-0.860, 4.881, 0.103], [0.582, 5.293, 0.992], [-0.637, 4.100, 1.659], [1.058, 4.549, -1.646], [-0.469, 3.732, -1.790], [1.089, 2.826, -1.901], [0.643, 1.319, -1.123], [0.923, 1.220, 3.751], [1.812, 0.129, 2.553], [0.029, 0.459, 2.453], [2.301, 3.920, 1.752], [2.897, 2.751, 2.962], [1.439, 3.707, 3.368], [-3.209, 0.601, 2.717], [-3.015, 0.591, 1.273], [-2.021, -0.296, 0.985], [-3.692, 1.498, 0.390], [-3.321, 1.923, -0.919], [-3.715, 3.143, -1.412], [-4.562, 4.006, -0.683], [-5.084, 3.517, 0.490], [-4.724, 2.268, 1.014], [-2.652, -0.123, 3.304], [-4.273, 0.559, 2.992], [-2.899, 1.610, 3.052], [-2.693, 1.277, -1.530], [-3.347, 3.411, -2.402], [-4.774, 5.020, -1.074], [-5.739, 4.155, 1.084], [-5.247, 1.901, 1.901]],
  "mulliken_charge": [-2.183, -1.296, -0.470, 0.689, -0.692, -1.166, -0.590, 1.285, -0.169, -1.521, -0.675, 1.842, -0.629, 0.035, -1.637, -0.753, -0.194, 0.753, 0.400, 0.237, 0.356, 0.014, 0.511, 0.371, 0.370, 0.293, 0.176, 0.112, 0.377, 0.411, 0.345, 0.317, 0.518, 0.485, 0.355, -1.607, 3.611, -2.264, -0.626, 0.103, -0.247, -0.981, -0.534, -1.432, 0.252, 0.316, 0.427, 0.411, 0.277, 0.382, 0.685, -0.531, 0.281, 0.373, 0.381, 0.383, 0.575, -1.262, 0.450, -1.085, -0.008, 1.230, 0.446, -0.728, -1.149, 0.447, 0.271, 0.362, 0.411, 0.248, 0.374, -0.281, 0.502, 0.055, 0.023, 0.389, 0.402, 0.296, -2.147, 0.357, -0.009, 1.751, 0.259, -0.768, -0.833, -0.478, -1.039, 0.265, 0.530, 0.375, 0.416, 0.442, 0.352, 0.379, 0.242],
  "lumo_ev": [0.24, 0.14],
  "relative_energy_ev": 2.4589
}

---

Entry 2:
{
  "formula": "C13H8BrCuN3OS",
  "method": "wB97M-V/def2-TZVPD",
  "elements": ["Cu", "O", "C", "C", "C", "N", "C", "Br", "C", "H", "H", "H", "H", "N", "C", "C", "C", "C", "C", "C", "C", "H", "H", "H", "H", "S", "C", "N"],
~~~

### Response
Entry 1:
{
  "formula": "C38H50AlN5O",
  "method": "wB97M-V/def2-TZVPD",
  "elements": ["Al", "C", "C", "C", "C", "C", "C", "C", "C", "C", "C", "N", "C", "C", "C", "C", "C", "N", "H", "H", "H", "H", "H", "H", "H", "H", "H", "H", "H", "H", "H", "H", "H", "H", "H", "C", "C", "C", "C", "C", "C", "C", "C", "C", "C", "H", "H", "H", "H", "H", "H", "H", "H", "H", "H", "H", "H", "C", "N", "C", "C", "N", "N", "C", "C", "H", "H", "H", "H", "H", "H", "H", "H", "H", "H", "H", "H", "H", "C", "C", "O", "C", "C", "C", "C", "C", "C", "H", "H", "H", "H", "H", "H", "H", "H"],
  "xyz": [[0.613, -0.879, -0.215], [3.536, -0.835, -3.993], [2.916, 0.440, -3.442], [3.658, 0.870, -2.191], [4.475, 1.984, -2.224], [5.294, 2.304, -1.136], [5.209, 1.533, 0.033], [4.376, 0.434, 0.137], [4.455, -0.410, 1.406], [5.891, -0.873, 1.685], [3.559, 0.113, -0.998], [2.589, -0.897, -0.867], [3.086, -2.143, -0.742], [2.262, -3.128, -0.201], [2.491, -4.525, 0.086], [1.305, -5.022, 0.644], [0.404, -3.931, 0.707], [0.948, -2.737, 0.243], [3.231, -1.036, -5.036], [3.284, -1.708, -3.374], [4.627, -0.777, -3.987], [1.815, 0.290, -3.368], [3.045, 1.247, -4.203], [4.427, 2.588, -3.136], [6.051, 3.108, -1.174], [5.816, 1.874, 0.899], [3.710, -1.210, 1.406], [4.200, 0.259, 2.285], [6.329, -1.306, 0.790], [5.887, -1.595, 2.523], [6.517, -0.054, 1.994], [4.089, -2.422, -1.059], [3.387, -5.073, -0.103], [1.053, -6.024, 0.975], [-0.612, -4.011, 1.079], [-1.650, -2.989, -1.710], [-2.548, -2.028, -0.877], [-3.486, -1.392, -1.958], [-1.639, -0.909, -0.302], [-3.447, -2.865, 0.105], [-4.627, -3.425, -0.403], [-5.598, -4.051, 0.403], [-5.347, -4.151, 1.747], [-4.137, -3.707, 2.270], [-3.166, -3.106, 1.476], [-1.072, -2.427, -2.452], [-2.329, -3.683, -2.295], [-1.011, -3.590, -1.091], [-2.981, -0.637, -2.574], [-4.413, -0.931, -1.570], [-3.758, -2.197, -2.668], [-1.688, -0.119, -1.059], [-4.776, -3.320, -1.484], [-6.514, -4.449, -0.056], [-6.110, -4.523, 2.425], [-3.929, -3.903, 3.325], [-2.223, -2.795, 1.911], [-0.119, 4.458, 0.774], [0.535, 3.354, 0.039], [0.556, 3.605, -1.390], [0.797, 2.127, 0.624], [0.690, 1.012, -0.134], [1.209, 2.104, 1.915], [1.015, 0.899, 2.708], [2.001, 3.234, 2.541], [-0.860, 4.881, 0.103], [0.582, 5.293, 0.992], [-0.637, 4.100, 1.659], [1.058, 4.549, -1.646], [-0.469, 3.732, -1.790], [1.089, 2.826, -1.901], [0.643, 1.319, -1.123], [0.923, 1.220, 3.751], [1.812, 0.129, 2.553], [0.029, 0.459, 2.453], [2.301, 3.920, 1.752], [2.897, 2.751, 2.962], [1.439, 3.707, 3.368], [-3.209, 0.601, 2.717], [-3.015, 0.591, 1.273], [-2.021, -0.296, 0.985], [-3.692, 1.498, 0.390], [-3.321, 1.923, -0.919], [-3.715, 3.143, -1.412], [-4.562, 4.006, -0.683], [-5.084, 3.517, 0.490], [-4.724, 2.268, 1.014], [-2.652, -0.123, 3.304], [-4.273, 0.559, 2.992], [-2.899, 1.610, 3.052], [-2.693, 1.277, -1.530], [-3.347, 3.411, -2.402], [-4.774, 5.020, -1.074], [-5.739, 4.155, 1.084], [-5.247, 1.901, 1.901]],